## File
____________
This entry pairs a crystal structure of TbHo5Tm2Sc with its simulated X-ray diffraction stick pattern. Radiation: Cu Kα (λ = 1.5418 Å). Structure: a DFT-relaxed cell (PBE, Alexandria).
Intensities are scaled so that the largest is 100.

Cell and atoms:
```
18
Lattice="2.746 -9.838 0.000 2.746 9.838 0.000 0.000 0.000 10.305" Properties=species:S:1:pos:R:3 pbc="T T T"
Tb 2.746 8.075 5.153
Tb 2.746 -8.075 0.000
Ho 2.746 9.469 8.087
Ho 2.746 7.447 0.686
Ho 2.746 5.901 7.737
Ho 2.746 5.437 3.762
Ho 2.746 0.345 0.654
Ho 2.746 -0.345 5.807
Ho 2.746 -5.437 8.915
Ho 2.746 -5.901 2.584
Ho 2.746 -7.447 5.838
Ho 2.746 -9.469 2.934
Tm 2.746 2.234 8.067
Tm 2.746 2.192 3.682
Tm 2.746 -2.192 8.835
Tm 2.746 -2.234 2.914
Sc 2.746 3.846 0.617
Sc 2.746 -3.846 5.770
```

Most intense lines, 10 to 90 degrees two-theta, by angle:
27.4°, 3.261 Å, I 21
28.6°, 3.125 Å, I 15
31.0°, 2.881 Å, I 36
32.6°, 2.746 Å, I 43
33.0°, 2.718 Å, I 100
34.8°, 2.576 Å, I 12
52.4°, 1.745 Å, I 11
58.4°, 1.580 Å, I 21
60.8°, 1.524 Å, I 11
63.1°, 1.473 Å, I 13

This entry pairs a crystal structure of Li3DyCd9 with its simulated X-ray diffraction stick pattern. Radiation: Cu Kα (λ = 1.5418 Å). Structure: a DFT-relaxed cell (PBE, Alexandria).
Intensities are scaled so that the largest is 100.

Cell and atoms:
```
13
Lattice="2.699 -7.050 0.000 2.699 7.050 0.000 -2.685 0.000 7.053" Properties=species:S:1:pos:R:3 pbc="T T T"
Li 0.000 0.000 0.000
Li 0.007 3.525 3.527
Li 0.007 -3.525 3.527
Dy -1.343 0.000 3.527
Cd 1.376 4.562 1.137
Cd 1.312 1.532 2.065
Cd 1.335 4.562 5.916
Cd 1.312 -1.532 2.065
Cd 2.699 0.000 0.000
Cd 1.400 1.532 4.989
Cd 1.376 -4.562 1.137
Cd 1.400 -1.532 4.989
Cd 1.335 -4.562 5.916
```

Most intense lines, 10 to 90 degrees two-theta, by angle:
31.6°, 2.831 Å, I 49
33.2°, 2.699 Å, I 33
36.0°, 2.493 Å, I 29
36.5°, 2.461 Å, I 100
37.9°, 2.373 Å, I 22
40.9°, 2.207 Å, I 19
42.2°, 2.143 Å, I 22
61.5°, 1.509 Å, I 17
65.1°, 1.433 Å, I 23
66.0°, 1.415 Å, I 16

Q: What is the formula in the first record?
A: TbHo5Tm2Sc

=====

1.
# TiPbS2
Calculated powder X-ray diffraction pattern, Cu Kα (weighted mean of Kα1 and Kα2). Input: a structure optimized by DFT (PBE).
No peak broadening, texture or thermal motion is included.

Principal peaks in the range 2θ from 15° to 90°, by angle:
4.278 Å, I = 43, (0 0 2)
2.971 Å, I = 44, (1 0 0)
2.852 Å, I = 17, (0 0 3)
2.806 Å, I = 100, (1 0 1)
2.440 Å, I = 47, (0 1 2)
2.057 Å, I = 52, (0 1 3)
1.736 Å, I = 17, (1 0 4)
1.715 Å, I = 22, (1 1 0)
1.592 Å, I = 17, (1 1 2)
1.483 Å, I = 15, (0 1 5)
1.470 Å, I = 14, (1 1 3)
1.463 Å, I = 14, (0 2 1)

Atomic structure:
Unit cell a=3.4304 b=3.4304 c=8.5557 alpha=90.00 beta=90.00 gamma=120.00
Space group P3m1 (No. 156)
Inequivalent atoms, fractional coordinates:
Ti (0.0000, 0.0000, 0.0000) x1
Pb (0.3333, 0.6667, 0.4983) x1
S (0.3333, 0.6667, 0.8314) x1
S (0.6667, 0.3333, 0.1690) x1


2.
# Ac3Sm13
Calculated powder X-ray diffraction pattern, Cu Kα (weighted mean of Kα1 and Kα2). Input: a structure optimized by DFT (PBE).
No peak broadening, texture or thermal motion is included.

Principal peaks in the range 2θ from 15° to 90°, by angle:
3.237 Å, I = 24, (0 0 4)
2.976 Å, I = 25, (0 4 0)
2.844 Å, I = 100, (2 2 2)
2.191 Å, I = 16, (0 4 4)
1.869 Å, I = 20, (4 0 0)
1.692 Å, I = 21, (2 6 2)
1.583 Å, I = 23, (4 4 0)
1.563 Å, I = 11, (4 2 4)
1.560 Å, I = 6, (0 2 8)
1.254 Å, I = 8, (0 6 8)
1.198 Å, I = 9, (4 2 8)
1.164 Å, I = 8, (4 8 0)

Atomic structure:
Unit cell a=7.483 b=11.906 c=12.933 alpha=90.00 beta=90.00 gamma=90.00
Space group Amm2 (No. 38)
Inequivalent atoms, fractional coordinates:
Ac (0.000, 0.000, 0.000) x2
Ac (0.252, 0.000, 0.743) x4
Sm (0.000, 0.000, 0.491) x2
Sm (0.000, 0.248, 0.165) x4
Sm (0.251, 0.000, 0.249) x4
Sm (0.253, 0.245, 0.414) x8
Sm (0.500, 0.000, 0.000) x2
Sm (0.500, 0.000, 0.492) x2
Sm (0.500, 0.243, 0.162) x4


3.
# KTcAs
Calculated powder X-ray diffraction pattern, Cu Kα (weighted mean of Kα1 and Kα2). Input: a structure optimized by DFT (PBE).
____________
## Exercise
The reader should type out the rows earlier on word for word.
## Reply
This entry pairs a crystal structure of TbHo5Tm2Sc with its simulated X-ray diffraction stick pattern. Radiation: Cu Kα (λ = 1.5418 Å). Structure: a DFT-relaxed cell (PBE, Alexandria).
Intensities are scaled so that the largest is 100.

Cell and atoms:
```
18
Lattice="2.746 -9.838 0.000 2.746 9.838 0.000 0.000 0.000 10.305" Properties=species:S:1:pos:R:3 pbc="T T T"
Tb 2.746 8.075 5.153
Tb 2.746 -8.075 0.000
Ho 2.746 9.469 8.087
Ho 2.746 7.447 0.686
Ho 2.746 5.901 7.737
Ho 2.746 5.437 3.762
Ho 2.746 0.345 0.654
Ho 2.746 -0.345 5.807
Ho 2.746 -5.437 8.915
Ho 2.746 -5.901 2.584
Ho 2.746 -7.447 5.838
Ho 2.746 -9.469 2.934
Tm 2.746 2.234 8.067
Tm 2.746 2.192 3.682
Tm 2.746 -2.192 8.835
Tm 2.746 -2.234 2.914
Sc 2.746 3.846 0.617
Sc 2.746 -3.846 5.770
```

Most intense lines, 10 to 90 degrees two-theta, by angle:
27.4°, 3.261 Å, I 21
28.6°, 3.125 Å, I 15
31.0°, 2.881 Å, I 36
32.6°, 2.746 Å, I 43
33.0°, 2.718 Å, I 100
34.8°, 2.576 Å, I 12
52.4°, 1.745 Å, I 11
58.4°, 1.580 Å, I 21
60.8°, 1.524 Å, I 11
63.1°, 1.473 Å, I 13

This entry pairs a crystal structure of Li3DyCd9 with its simulated X-ray diffraction stick pattern. Radiation: Cu Kα (λ = 1.5418 Å). Structure: a DFT-relaxed cell (PBE, Alexandria).
Intensities are scaled so that the largest is 100.

Cell and atoms:
```
13
Lattice="2.699 -7.050 0.000 2.699 7.050 0.000 -2.685 0.000 7.053" Properties=species:S:1:pos:R:3 pbc="T T T"
Li 0.000 0.000 0.000
Li 0.007 3.525 3.527
Li 0.007 -3.525 3.527
Dy -1.343 0.000 3.527
Cd 1.376 4.562 1.137
Cd 1.312 1.532 2.065
Cd 1.335 4.562 5.916
Cd 1.312 -1.532 2.065
Cd 2.699 0.000 0.000
Cd 1.400 1.532 4.989
Cd 1.376 -4.562 1.137
Cd 1.400 -1.532 4.989
Cd 1.335 -4.562 5.916
```

Most intense lines, 10 to 90 degrees two-theta, by angle:
31.6°, 2.831 Å, I 49
33.2°, 2.699 Å, I 33
36.0°, 2.493 Å, I 29
36.5°, 2.461 Å, I 100
37.9°, 2.373 Å, I 22
40.9°, 2.207 Å, I 19
42.2°, 2.143 Å, I 22
61.5°, 1.509 Å, I 17
65.1°, 1.433 Å, I 23
66.0°, 1.415 Å, I 16

Q: What is the formula in the first record?
A: TbHo5Tm2Sc

=====

1.
# TiPbS2
Calculated powder X-ray diffraction pattern, Cu Kα (weighted mean of Kα1 and Kα2). Input: a structure optimized by DFT (PBE).
No peak broadening, texture or thermal motion is included.

Principal peaks in the range 2θ from 15° to 90°, by angle:
4.278 Å, I = 43, (0 0 2)
2.971 Å, I = 44, (1 0 0)
2.852 Å, I = 17, (0 0 3)
2.806 Å, I = 100, (1 0 1)
2.440 Å, I = 47, (0 1 2)
2.057 Å, I = 52, (0 1 3)
1.736 Å, I = 17, (1 0 4)
1.715 Å, I = 22, (1 1 0)
1.592 Å, I = 17, (1 1 2)
1.483 Å, I = 15, (0 1 5)
1.470 Å, I = 14, (1 1 3)
1.463 Å, I = 14, (0 2 1)

Atomic structure:
Unit cell a=3.4304 b=3.4304 c=8.5557 alpha=90.00 beta=90.00 gamma=120.00
Space group P3m1 (No. 156)
Inequivalent atoms, fractional coordinates:
Ti (0.0000, 0.0000, 0.0000) x1
Pb (0.3333, 0.6667, 0.4983) x1
S (0.3333, 0.6667, 0.8314) x1
S (0.6667, 0.3333, 0.1690) x1


2.
# Ac3Sm13
Calculated powder X-ray diffraction pattern, Cu Kα (weighted mean of Kα1 and Kα2). Input: a structure optimized by DFT (PBE).
No peak broadening, texture or thermal motion is included.

Principal peaks in the range 2θ from 15° to 90°, by angle:
3.237 Å, I = 24, (0 0 4)
2.976 Å, I = 25, (0 4 0)
2.844 Å, I = 100, (2 2 2)
2.191 Å, I = 16, (0 4 4)
1.869 Å, I = 20, (4 0 0)
1.692 Å, I = 21, (2 6 2)
1.583 Å, I = 23, (4 4 0)
1.563 Å, I = 11, (4 2 4)
1.560 Å, I = 6, (0 2 8)
1.254 Å, I = 8, (0 6 8)
1.198 Å, I = 9, (4 2 8)
1.164 Å, I = 8, (4 8 0)

Atomic structure:
Unit cell a=7.483 b=11.906 c=12.933 alpha=90.00 beta=90.00 gamma=90.00
Space group Amm2 (No. 38)
Inequivalent atoms, fractional coordinates:
Ac (0.000, 0.000, 0.000) x2
Ac (0.252, 0.000, 0.743) x4
Sm (0.000, 0.000, 0.491) x2
Sm (0.000, 0.248, 0.165) x4
Sm (0.251, 0.000, 0.249) x4
Sm (0.253, 0.245, 0.414) x8
Sm (0.500, 0.000, 0.000) x2
Sm (0.500, 0.000, 0.492) x2
Sm (0.500, 0.243, 0.162) x4


3.
# KTcAs
Calculated powder X-ray diffraction pattern, Cu Kα (weighted mean of Kα1 and Kα2). Input: a structure optimized by DFT (PBE).